.010 Applicable Provisions. The provisions of Chapter 18.44 (Signs), Chapter 4.04 (Outdoor Advertising Signs and Structures – General), and Chapter 4.09 (Outdoor Advertising of Motel and Hotel Rental Rates) shall apply to signs and advertising structures in the (BCC) Overlay Zone to the extent such provisions are not inconsistent with this chapter.
.020 Signs Approved in Conjunction with Conditional Use Permits. Approval of any conditional use permit shall be deemed to constitute approval of any on-site signs that are otherwise permitted in the (BCC) Overlay Zone, unless, as part of the action approving the conditional use permit, more restrictive sign requirements are imposed.
.030 Legal Nonconforming Signs – General. Any sign or other advertising display or structure of whatever type or nature, other than an illegal sign, which violates or otherwise does not comply with the applicable requirements of this chapter, shall be subject to compliance with the regulations prescribed herein in the time and manner hereinafter set forth.
.0301 Any legal nonconforming sign or sign structure in existence in the (BCC) Overlay Zone as of April 6, 1999, that violates or otherwise does not conform to the provisions hereof, shall be removed, altered or replaced so as to conform to the requirements of this chapter (hereinafter, the "abatement") within fifteen (15) years after the date the sign first becomes nonconforming to the provisions of this chapter, or on such earlier date as may be designated in conformance with the requirements specified in Chapter 2.5 of Division 3 of the Business and Professions Code of the State of California, or any successor provisions thereto. In no event shall abatement be required, unless and until the owner of the sign has received not less than one (1) year's advance, written notice, directing removal or alteration of the sign.
┌──
VASP calculation (GGA-PBE) on Lu3Th after structural relaxation.

Cell and atoms, written as extended XYZ:
```
8
Lattice="3.521 -6.099 0.000 3.521 6.099 0.000 0.000 0.000 5.680" Properties=species:S:1:pos:R:3 pbc="T T T"
Lu 1.754 1.013 1.420
Lu 5.289 1.013 1.420
Lu 3.521 4.074 1.420
Lu 5.289 -1.013 4.260
Lu 1.754 -1.013 4.260
Lu 3.521 -4.074 4.260
Th 3.521 2.033 4.260
Th 3.521 -2.033 1.420
```

## Properties
Uncorrected energy = -5.213 eV/atom
Energy of formation = 0.031 eV/atom

VASP calculation (GGA-PBE) on Lu3Th after structural relaxation.

Cell and atoms, written as extended XYZ:
```
4
Lattice="2.103 0.381 -2.820 -3.506 -0.212 -0.424 -0.789 11.205 0.926" Properties=species:S:1:pos:R:3 pbc="T T T"
Lu -1.637 -0.014 -1.222
Lu -0.361 8.630 -1.323
Lu 0.039 2.942 -1.793
Th -2.031 5.589 -0.759
```

## Properties
Uncorrected energy = -5.212 eV/atom
Energy of formation = 0.032 eV/atom

VASP calculation (GGA-PBE) on Lu3Th after structural relaxation.

Cell and atoms, written as extended XYZ:
```
4
Lattice="-2.495 2.495 4.885 2.495 -2.495 4.885 2.495 2.495 -4.885" Properties=species:S:1:pos:R:3 pbc="T T T"
Lu 0.000 2.495 2.443
Lu 2.495 0.000 2.443
Lu 0.000 0.000 4.885
Th 0.000 0.000 0.000
```

## Properties
Uncorrected energy = -5.205 eV/atom
Energy of formation = 0.039 eV/atom

Look up the energy of formation of the second one. 0.032 eV/atom

* * * * *

Below is crystalline Na18Mg4Ta20Si27S9O144 at its relaxed geometry, with properties calculated at the GGA-PBE level.

Results
As for the crystal system: triclinic. The total energy is -7.73 eV/atom. The magnetization is 0.000 μB per cell.

Lattice parameters (Å, degrees): 17.880 8.929 22.736 90.03 89.90 120.05
Element x y z (fractional)
1 Na 0.315 0.017 0.239
2 Na 0.816 0.014 0.250
3 Na 0.993 0.618 0.239
4 Na 0.317 0.616 0.753
5 Na 0.816 0.612 0.744
6 Na 0.492 0.368 0.742
7 Na 0.992 0.993 0.494
8 Na 0.501 0.005 0.498
9 Na 0.001 0.998 0.001
10 Na 0.491 0.983 0.998
11 Na 0.324 0.317 0.827
12 Na 0.833 0.329 0.825
13 Na 0.335 0.340 0.321
14 Na 0.824 0.329 0.321
15 Na 0.165 0.665 0.159
16 Na 0.651 0.649 0.169
17 Na 0.161 0.666 0.675
18 Na 0.662 0.661 0.662
19 Mg 0.336 0.329 0.692
20 Mg 0.832 0.344 0.688
21 Mg 0.339 0.326 0.186
22 Mg 0.835 0.342 0.191
23 Ta 0.999 0.001 0.356
24 Ta 0.507 0.012 0.357
25 Ta 0.007 0.000 0.859
26 Ta 0.499 0.996 0.857
27 Ta 0.003 0.991 0.647
28 Ta 0.502 0.014 0.650
29 Ta 0.002 0.991 0.149
30 Ta 0.503 0.006 0.142
31 Ta 0.341 0.339 0.978
32 Ta 0.839 0.349 0.975
33 Ta 0.340 0.332 0.474
34 Ta 0.833 0.343 0.475
35 Ta 0.166 0.674 0.020
36 Ta 0.663 0.668 0.018
37 Ta 0.167 0.665 0.516
38 Ta 0.666 0.658 0.520
39 Ta 0.164 0.661 0.313
40 Ta 0.664 0.665 0.310
41 Ta 0.165 0.665 0.812
42 Ta 0.663 0.666 0.814
43 Si 0.148 0.009 0.254
44 Si 0.644 0.001 0.249
45 Si 0.853 0.709 0.252
46 Si 0.004 0.288 0.249
47 Si 0.500 0.290 0.251
48 Si 0.144 0.289 0.749
49 Si 0.648 0.289 0.754
50 Si 0.000 0.704 0.753
51 Si 0.504 0.720 0.748
52 Si 0.353 0.998 0.753
53 Si 0.477 0.332 0.587
54 Si 0.833 0.626 0.587
└──
.0302 Notwithstanding the foregoing, the following provisions apply:
.01 Any advertising display that was lawfully erected and does not conform to the provisions of this chapter, but whose use has ceased, or the structure upon which the display exists has been abandoned by its owner, for a period of not less than ninety (90) days, shall be removed, altered or replaced so as to conform to the provisions of this chapter, within six (6) months from the date of receipt of a written order of abatement from the City requiring such abatement. Costs incurred by the City in removing an abandoned display shall be borne by or charged to the legal owner of the real property upon which said sign is located.
.02 Any advertising display structure that does not conform to the provisions of this chapter, which has been more than fifty percent (50%) destroyed (by valuation of the sign), and the destruction is other than facial copy replacement, and said structure cannot be repaired within thirty (30) days of the date of its destruction, shall be removed, altered or replaced so as to conform to the provisions of this chapter, within sixty (60) days from the date of receipt of a written order of abatement from the City requiring such abatement.
.03 Any advertising display which does not conform to the provisions of this chapter, whose owner requests permission to remodel (outside of a change of facial copy), and remodels that advertising display, or expands or enlarges the building, or intensifies the land use upon which the advertising display is located, and the display is affected by the construction, enlargement or remodeling of the building, shall remove, alter or replace such sign so as to conform to the requirements of this chapter in conjunction with said project.
.04 Any advertising display which does not conform to the provisions of this chapter, for which there has been an agreement between the advertising display owner and the City for its removal as of any given date, shall remove such sign in accordance with the provisions of said agreement.
.05 Any advertising display, which may become a danger to the public or is unsafe, shall be removed, altered or replaced so as to conform to the requirements of this chapter, within thirty (30) days from the date of receipt of a written order of abatement from the City requiring such removal or alteration. Any advertising display that poses an immediate danger to public health or safety shall be abated, as provided in the written order of abatement from the City.
.06 Any advertising display, which is determined by the City Engineer to constitute a traffic hazard not created by the relocation of streets or highways or by acts of the City, shall be removed, altered or replaced so as to conform to the requirements of this chapter, as provided in the written order of abatement from the City requiring such removal or alteration.
.07 Any other advertising display which does not conform to the provisions of this chapter, for which the City is exempt from the payment of compensation in conjunction with requiring its removal, as specified in Chapter 2.5 of Division 3 of the Business and Professions Code of the State of California, or any successor provisions thereto, shall be subject to removal as specified in said Code.
.08 Illegal Signs. Illegal signs, as defined in Chapter 44 (Signs), shall be removed, altered or replaced so as to conform to the requirements of this chapter, within six (6) months following April 6, 1999. (Ord. 5920 § 1 (part); June 8, 2004.)